Pharmacy Benefit Companies Lower Rx Costs and Provide Critical Flexibility for Employers and Labor Unions

The evidence is clear: pharmacy benefit companies lower prescription drug costs for employers, labor union plans, taxpayers, and patients.

Data records, kept here for reference.
┌──
14
Properties=species:S:1:pos:R:3 method="wB97M-V/def2-TZVPD" homo_ha="-0.28259 / -0.33827" largest_force_ev_per_a=1.99
C -0.184 1.388 -0.073
C -2.997 0.367 -0.173
C 0.954 2.014 -0.124
C -0.584 0.036 0.403
C -0.065 -1.041 -0.556
N -2.041 -0.117 0.573
O -4.181 0.283 -0.253
H 1.905 1.611 0.238
H 1.026 3.008 -0.537
H -0.176 -0.137 1.411
H -0.362 -0.807 -1.574
H -0.461 -2.020 -0.288
H 1.020 -1.080 -0.513
H -2.299 -0.817 1.281



14
Properties=species:S:1:pos:R:3 method="wB97M-V/def2-TZVPD" homo_ha=-0.33424 largest_force_ev_per_a=0.69 smiles=OCC#C[C@H]1CN1
O 1.482 -1.299 0.650
C 2.141 -0.377 -0.234
C 1.198 0.700 -0.594
C 0.092 1.171 -0.454
C -1.260 1.103 0.066
C -2.109 -0.009 -0.441
N -1.381 -0.167 0.805
H 1.539 -0.963 1.555
H 3.053 0.004 0.233
H 2.424 -0.961 -1.114
H -1.702 1.983 0.526
H -1.776 -0.522 -1.339
H -3.189 0.043 -0.326
H -0.512 -0.706 0.667



14
Properties=species:S:1:pos:R:3 method="wB97M-V/def2-TZVPD" homo_ha=-0.30652 largest_force_ev_per_a=4.10 smiles=Cc1cocc1N
C 1.820 -1.255 -0.015
C 0.381 -0.623 -0.001
C -0.795 -1.273 -0.024
O -1.819 -0.395 -0.007
C -1.291 0.828 0.049
C 0.057 0.808 -0.081
N 1.092 1.766 -0.079
H 2.353 -1.000 -1.025
H 2.342 -0.718 0.779
H 1.806 -2.344 0.284
H -1.058 -2.304 0.156
H -1.981 1.678 0.099
H 1.648 1.841 0.944
H 0.762 2.730 -0.198



14
Properties=species:S:1:pos:R:3 method="wB97M-V/def2-TZVPD" homo_ha=-0.32905 largest_force_ev_per_a=3.38
C -1.927 0.162 0.225
C -0.467 -0.201 -0.030
N 0.068 -1.224 0.874
C 0.695 0.068 0.846
C 1.662 0.321 -0.260
C 0.842 0.005 -1.419
O 1.035 0.058 -2.602
H -2.229 1.086 -0.274
H -2.129 0.285 1.304
H -2.597 -0.635 -0.117
H 0.638 -1.948 0.452
H 0.738 0.698 1.731
H 2.737 0.046 -0.139
H 0.934 1.280 -0.591



Result set for molar mass: 97.117 97.117 97.117 97.117 g mol⁻¹, one per record in the order listed.
Result set for energy above the lowest of the compared OMol25 structures with the same formula, charge and spin: 427.44 390.64 163.20 482.08 kJ/mol, one per record in the order listed.
Result set for E_tot: -8831.773 -8832.154 -8834.511 -8831.206 eV, one per record in the order listed.


[1]
C37H30N5O2SiTi | wB97M-V/def2-TZVPD

As for the energy relative to the best compared isomer or geometry (same formula, charge and spin): 24.3 kcal per mole. The molecular weight comes out at 652.633 g mol⁻¹. The calculation puts the HOMO energy at -0.117 Ha.

The geometry in ORCA input format:
```
! RIJCOSX wB97M-V def2-TZVPD def2/J DEFGRID3
* xyz -1 1
Ti 0.260 0.273 -0.671
O -1.153 -2.819 -4.718
C -1.220 -1.581 -5.236
C -1.760 -1.428 -6.513
C -1.846 -0.175 -7.091
C -1.399 0.951 -6.407
C -0.865 0.803 -5.139
C -0.763 -0.450 -4.539
C -0.201 -0.572 -3.184
O 0.255 0.514 -2.596
N -0.147 -1.733 -2.595
N 0.367 -1.569 -1.318
C 1.391 -2.372 -0.882
C 2.308 -1.700 -0.117
C 3.386 -2.308 0.618
C 4.242 -1.554 1.340
C 4.058 -0.131 1.394
C 3.004 0.406 0.733
N 2.117 -0.306 -0.020
H -0.750 -2.736 -3.812
H -2.104 -2.316 -7.028
H -2.269 -0.075 -8.083
H -1.472 1.933 -6.856
H -0.524 1.660 -4.573
H 1.538 -3.374 -1.266
└──
So much for the data records.

While big drug companies push a false narrative designed to shift attention and scrutiny for the high prices they set on their products, pharmacy benefit companies are saving health plan sponsors, like employers and labor unions, $878 per patient per year on prescription drug costs. These savings allow employers and labor unions to keep offering quality drug benefits to their employees and retirees across America – ensuring that premiums are affordable, that patients have choice and access to pharmacies, and that they can get the drug therapies they need at a price they can afford.

Pharmacy benefit companies save employers, labor union plans, and patients a whopping $124 billion per year on prescription drug costs. For just brand name drugs alone, pharmacy benefit companies help save $46 billion annually.

On generics, the savings generated from pharmacy benefit companies result in a $74 per patient per year saving, which comes out to a $4 saving per prescription. For brand name drugs, the savings come out to approximately $525 per patient or $206 per prescription. On specialty drugs, pharmacy benefit companies save $279 per patient per year, saving $1,313 per prescription.

Legislation aimed at restricting pharmacy benefit companies from offering options will result in increased prescription drug costs and less choice for plan sponsors. That would make it harder for employers, including small businesses and unions, to access a variety of coverage choices and flexibility that help them provide affordable, quality prescription drug coverage. Lawmakers must instead focus on policies that encourage competition – the most effective way to lower prescription drug costs.


Learn more about public policy solutions that would promote competition in the prescription drug market and effectively lower prices for patients HERE.

PCMA’s recent Policy Forum, held on April 25, 2023, featured policymakers – including key Administration officials and Congressional staffers – and PBM executives to discuss how the public and private sectors are tackling drug costs and improving both the affordability and quality of care for patients. View the PCMA Policy Forum HERE.

The Hill recently hosted and PCMA sponsored an event titled, “Prescription for Change: Improving Competition to Lower Drug Prices,” where lawmakers and a panel of drug pricing and economic experts discussed the importance of promoting competition as the most effective way to lower prescription drug costs. Watch the event HERE.